(Given)
DFT (PBE) results for a relaxed structure of Cs3TaS4.

The calculation puts the energy of formation from the pure elements at -1556 meV/atom.

It has space group Pnma (No. 62), with a = 10.078 Å, b = 11.833 Å, c = 10.199 Å, α = 90.00°, β = 90.00° and γ = 90.00°. The distinct sites, in fractional coordinates, are Cs at (0.050, 0.042, 0.211), Cs at (0.145, 0.750, 0.420), Ta at (0.221, 0.750, 0.985), S at (0.012, 0.750, 0.074), S at (0.168, 0.090, 0.549) and S at (0.204, 0.750, 0.761).

~~~~~

Record 1
# Na4Co2O5

A relaxed Na4Co2O5 crystal (PBE+U, Materials Project). Values from VASP.

## Properties
Volume ... 1205.1 Å³/cell
E ... -4.864 eV per atom
ρ ... 3.195 g cm⁻³
Energy of formation ... -1.451 eV/atom
MP2020-corrected energy ... -5.47 eV per atom
Spin magnetization ... 7.00 μB/f.u.
Offset from the most stable computed form ... 67.2 meV/atom
Crystal system ... monoclinic

Geometry as Quantum ESPRESSO input:
```
&SYSTEM
  ibrav = 0, nat = 88, ntyp = 3
/
ATOMIC_SPECIES
O 16.00 O.upf
Co 58.93 Co.upf
Na 22.99 Na.upf
CELL_PARAMETERS angstrom
-1.1450 -5.1332 8.1484
-8.0992 -5.4646 -4.5807
7.2171 -8.0210 -4.0389
ATOMIC_POSITIONS crystal
O 0.6518 0.5174 0.2366
Co 0.7839 0.6647 0.7689
O 0.0916 0.9852 0.7492
Na 0.6280 0.4307 0.4311
O 0.5916 0.0148 0.7508
O 0.5895 0.2840 0.6508
Co 0.4329 0.2683 0.5642
Co 0.3195 0.7704 0.0656
O 0.8777 0.6938 0.3311
Na 0.1666 0.9795 0.2408
Na 0.6666 0.0205 0.2592
O 0.4084 0.9852 0.2492
Na 0.6155 0.9006 0.9469
Na 0.1296 0.9281 0.9530
O 0.1112 0.3846 0.9628
Na 0.3704 0.9281 0.4530
Na 0.9123 0.8182 0.1610
Na 0.8722 0.6007 0.5284
O 0.8783 0.8856 0.9535
O 0.6319 0.1155 0.0397
O 0.3399 0.7919 0.6378
Na 0.3845 0.0994 0.0531
Co 0.1805 0.7704 0.5656
O 0.1518 0.4826 0.2634
O 0.8588 0.7988 0.6668
Na 0.3334 0.9795 0.7408
Na 0.0877 0.1818 0.8390
Na 0.6278 0.6007 0.0284
Na 0.1280 0.5693 0.0689
Na 0.3720 0.5693 0.5689
Na 0.5877 0.8182 0.6610
O 0.9105 0.2840 0.1508
O 0.6412 0.7988 0.1668
Na 0.3722 0.3993 0.9716
Co 0.5261 0.1637 0.7733
Co 0.0671 0.2683 0.0642
Co 0.9739 0.1637 0.2733
Co 0.8195 0.2296 0.4344
Na 0.4076 0.5293 0.2413
O 0.8888 0.6154 0.0372
O 0.3588 0.2012 0.8332
Na 0.0924 0.5293 0.7413
O 0.6223 0.6938 0.8311
O 0.8399 0.2081 0.8622
O 0.1217 0.1144 0.0465
Co 0.2839 0.3353 0.7311
O 0.4105 0.7160 0.3492
Na 0.6389 0.3119 0.1681
O 0.3740 0.6166 0.0461
Na 0.8334 0.0205 0.7592
Co 0.2161 0.3353 0.2311
O 0.9084 0.0148 0.2508
Na 0.8845 0.9006 0.4469
O 0.0895 0.7160 0.8492
O 0.3777 0.3062 0.1689
O 0.3482 0.4826 0.7634
Na 0.8720 0.4307 0.9311
Co 0.6805 0.2296 0.9344
O 0.3681 0.8845 0.9603
O 0.6601 0.2081 0.3622
Na 0.3611 0.6881 0.8319
Na 0.6296 0.0719 0.5470
O 0.1319 0.8845 0.4603
O 0.1223 0.3062 0.6689
Na 0.8611 0.3119 0.6681
Co 0.9329 0.7317 0.9358
O 0.8740 0.3834 0.4539
Na 0.9076 0.4707 0.2587
Na 0.5924 0.4707 0.7587
O 0.6112 0.6154 0.5372
O 0.1260 0.6166 0.5461
Na 0.1155 0.0994 0.5531
O 0.1601 0.7919 0.1378
Co 0.7161 0.6647 0.2689
O 0.6217 0.8856 0.4535
O 0.8681 0.1155 0.5397
O 0.6260 0.3834 0.9539
Co 0.0261 0.8363 0.7267
Co 0.5671 0.7317 0.4358
O 0.3888 0.3846 0.4628
Na 0.1389 0.6881 0.3319
Co 0.4739 0.8363 0.2267
O 0.1412 0.2012 0.3332
Na 0.4123 0.1818 0.3390
Na 0.1278 0.3993 0.4716
O 0.8482 0.5174 0.7366
Na 0.8704 0.0719 0.0470
O 0.3783 0.1144 0.5465
```

=====

Record 2
# Na3Co5O10

A relaxed Na3Co5O10 crystal (PBE+U, Materials Project). Values from VASP.

## Properties
Volume ... 398.4 Å³/cell
E ... -5.515 eV per atom
ρ ... 4.365 g cm⁻³
Energy of formation ... -1.407 eV/atom
MP2020-corrected energy ... -6.35 eV per atom
Spin magnetization ... 3.01 μB/f.u.
Offset from the most stable computed form ... 63.5 meV/atom
Crystal system ... triclinic

Geometry as Quantum ESPRESSO input:
```
&SYSTEM
  ibrav = 0, nat = 36, ntyp = 3
/
ATOMIC_SPECIES
Co 58.93 Co.upf
O 16.00 O.upf
Na 22.99 Na.upf
CELL_PARAMETERS angstrom
-2.6295 0.6663 4.1978
9.3378 5.4996 2.9714
-1.4146 5.7682 -4.7086
ATOMIC_POSITIONS crystal
Co 0.0974 0.5011 0.1986
Co 0.4059 0.0049 0.8014
O 0.5914 0.5858 0.8057
O 0.5202 0.9074 0.4071
(Job)
It remains to return everything further above word for word.
(Here it is)
DFT (PBE) results for a relaxed structure of Cs3TaS4.

The calculation puts the energy of formation from the pure elements at -1556 meV/atom.

It has space group Pnma (No. 62), with a = 10.078 Å, b = 11.833 Å, c = 10.199 Å, α = 90.00°, β = 90.00° and γ = 90.00°. The distinct sites, in fractional coordinates, are Cs at (0.050, 0.042, 0.211), Cs at (0.145, 0.750, 0.420), Ta at (0.221, 0.750, 0.985), S at (0.012, 0.750, 0.074), S at (0.168, 0.090, 0.549) and S at (0.204, 0.750, 0.761).

~~~~~

Record 1
# Na4Co2O5

A relaxed Na4Co2O5 crystal (PBE+U, Materials Project). Values from VASP.

## Properties
Volume ... 1205.1 Å³/cell
E ... -4.864 eV per atom
ρ ... 3.195 g cm⁻³
Energy of formation ... -1.451 eV/atom
MP2020-corrected energy ... -5.47 eV per atom
Spin magnetization ... 7.00 μB/f.u.
Offset from the most stable computed form ... 67.2 meV/atom
Crystal system ... monoclinic

Geometry as Quantum ESPRESSO input:
```
&SYSTEM
  ibrav = 0, nat = 88, ntyp = 3
/
ATOMIC_SPECIES
O 16.00 O.upf
Co 58.93 Co.upf
Na 22.99 Na.upf
CELL_PARAMETERS angstrom
-1.1450 -5.1332 8.1484
-8.0992 -5.4646 -4.5807
7.2171 -8.0210 -4.0389
ATOMIC_POSITIONS crystal
O 0.6518 0.5174 0.2366
Co 0.7839 0.6647 0.7689
O 0.0916 0.9852 0.7492
Na 0.6280 0.4307 0.4311
O 0.5916 0.0148 0.7508
O 0.5895 0.2840 0.6508
Co 0.4329 0.2683 0.5642
Co 0.3195 0.7704 0.0656
O 0.8777 0.6938 0.3311
Na 0.1666 0.9795 0.2408
Na 0.6666 0.0205 0.2592
O 0.4084 0.9852 0.2492
Na 0.6155 0.9006 0.9469
Na 0.1296 0.9281 0.9530
O 0.1112 0.3846 0.9628
Na 0.3704 0.9281 0.4530
Na 0.9123 0.8182 0.1610
Na 0.8722 0.6007 0.5284
O 0.8783 0.8856 0.9535
O 0.6319 0.1155 0.0397
O 0.3399 0.7919 0.6378
Na 0.3845 0.0994 0.0531
Co 0.1805 0.7704 0.5656
O 0.1518 0.4826 0.2634
O 0.8588 0.7988 0.6668
Na 0.3334 0.9795 0.7408
Na 0.0877 0.1818 0.8390
Na 0.6278 0.6007 0.0284
Na 0.1280 0.5693 0.0689
Na 0.3720 0.5693 0.5689
Na 0.5877 0.8182 0.6610
O 0.9105 0.2840 0.1508
O 0.6412 0.7988 0.1668
Na 0.3722 0.3993 0.9716
Co 0.5261 0.1637 0.7733
Co 0.0671 0.2683 0.0642
Co 0.9739 0.1637 0.2733
Co 0.8195 0.2296 0.4344
Na 0.4076 0.5293 0.2413
O 0.8888 0.6154 0.0372
O 0.3588 0.2012 0.8332
Na 0.0924 0.5293 0.7413
O 0.6223 0.6938 0.8311
O 0.8399 0.2081 0.8622
O 0.1217 0.1144 0.0465
Co 0.2839 0.3353 0.7311
O 0.4105 0.7160 0.3492
Na 0.6389 0.3119 0.1681
O 0.3740 0.6166 0.0461
Na 0.8334 0.0205 0.7592
Co 0.2161 0.3353 0.2311
O 0.9084 0.0148 0.2508
Na 0.8845 0.9006 0.4469
O 0.0895 0.7160 0.8492
O 0.3777 0.3062 0.1689
O 0.3482 0.4826 0.7634
Na 0.8720 0.4307 0.9311
Co 0.6805 0.2296 0.9344
O 0.3681 0.8845 0.9603
O 0.6601 0.2081 0.3622
Na 0.3611 0.6881 0.8319
Na 0.6296 0.0719 0.5470
O 0.1319 0.8845 0.4603
O 0.1223 0.3062 0.6689
Na 0.8611 0.3119 0.6681
Co 0.9329 0.7317 0.9358
O 0.8740 0.3834 0.4539
Na 0.9076 0.4707 0.2587
Na 0.5924 0.4707 0.7587
O 0.6112 0.6154 0.5372
O 0.1260 0.6166 0.5461
Na 0.1155 0.0994 0.5531
O 0.1601 0.7919 0.1378
Co 0.7161 0.6647 0.2689
O 0.6217 0.8856 0.4535
O 0.8681 0.1155 0.5397
O 0.6260 0.3834 0.9539
Co 0.0261 0.8363 0.7267
Co 0.5671 0.7317 0.4358
O 0.3888 0.3846 0.4628
Na 0.1389 0.6881 0.3319
Co 0.4739 0.8363 0.2267
O 0.1412 0.2012 0.3332
Na 0.4123 0.1818 0.3390
Na 0.1278 0.3993 0.4716
O 0.8482 0.5174 0.7366
Na 0.8704 0.0719 0.0470
O 0.3783 0.1144 0.5465
```

=====

Record 2
# Na3Co5O10

A relaxed Na3Co5O10 crystal (PBE+U, Materials Project). Values from VASP.

## Properties
Volume ... 398.4 Å³/cell
E ... -5.515 eV per atom
ρ ... 4.365 g cm⁻³
Energy of formation ... -1.407 eV/atom
MP2020-corrected energy ... -6.35 eV per atom
Spin magnetization ... 3.01 μB/f.u.
Offset from the most stable computed form ... 63.5 meV/atom
Crystal system ... triclinic

Geometry as Quantum ESPRESSO input:
```
&SYSTEM
  ibrav = 0, nat = 36, ntyp = 3
/
ATOMIC_SPECIES
Co 58.93 Co.upf
O 16.00 O.upf
Na 22.99 Na.upf
CELL_PARAMETERS angstrom
-2.6295 0.6663 4.1978
9.3378 5.4996 2.9714
-1.4146 5.7682 -4.7086
ATOMIC_POSITIONS crystal
Co 0.0974 0.5011 0.1986
Co 0.4059 0.0049 0.8014
O 0.5914 0.5858 0.8057
O 0.5202 0.9074 0.4071